=====
Entry 1:
ORCA calculation (wB97M-V/def2-TZVPD) on a molecular structure, C43H54As4BrN3O11S2V in a non-equilibrium geometry.

```
119
C43H54As4BrN3O11S2V, DFT wB97M-V/def2-TZVPD
O -0.32002 1.06304 -3.82519
C -2.94606 -0.50051 2.25729
C 1.78275 5.24826 3.48907
C 2.52039 1.12270 3.92881
H -1.37184 6.85718 -2.72100
C 1.26451 5.75314 4.80527
H 3.64442 6.15620 3.75692
C -1.66662 -6.50782 -1.61542
C -1.18875 3.13469 0.93387
O -1.65269 -0.53927 0.28817
H 0.58563 -4.93802 -0.83393
C 0.85504 4.34287 2.74758
C -1.52346 -5.00508 -1.28374
H 1.07667 6.60418 -2.90526
N -0.80793 2.07050 1.65849
C -5.19629 -1.08925 0.70799
H 1.47268 -5.74629 -2.52867
C -0.36158 -4.81673 -0.30349
H 1.01363 4.91254 5.45541
O -2.03125 0.51783 -1.87000
H -4.19393 1.96387 -1.45349
H 1.49503 -8.83618 -0.72229
H 4.25954 -0.42869 -0.40438
H -2.98350 -5.13672 0.31668
H 0.70845 5.87898 1.25260
S 4.32494 3.84248 -0.37049
Br -7.00477 -1.05296 2.91309
C 1.86616 4.33409 0.42252
H 3.04020 3.19052 3.91975
C 3.37054 1.40333 0.36004
C 3.71004 5.15004 1.90757
C 2.12819 -0.74027 -0.22299
H 2.03012 -7.20679 -3.35576
As -0.14148 -3.05646 0.70846
H -0.95523 -2.94131 3.10696
H -1.13113 -4.62285 2.57466
C -2.80313 -0.71494 0.85421
C -1.27196 -3.58046 2.28481
H -0.43306 -5.60216 0.45719
H 0.08131 -8.32832 0.19868
C 0.18965 3.36461 -2.86898
C 0.23696 1.91253 2.47631
As -1.35818 -2.13642 -2.40953
H -3.85455 -1.07744 -0.97336
C -4.19974 -0.60972 2.85558
C 0.47080 -2.01096 -3.06514
C 2.30524 2.46009 3.61062
V -0.53113 0.19698 -0.58901
C -2.22593 -1.80710 -4.16542
O -3.18636 1.75906 -4.06366
H 0.78710 -6.20067 -4.09732
H 1.72208 -2.99861 2.42416
H -1.10890 5.01472 0.02413
C -1.17243 3.49014 -2.73017
H 2.32145 -3.75314 0.95171
H 1.31351 -7.14116 -0.25137
O 2.21341 -1.91803 -0.58023
C -3.95585 -0.99130 0.10274
H -0.48153 -4.51762 -3.12134
H -6.08179 -1.26514 0.11652
C -2.82874 -4.57798 -0.60534
C 3.04481 5.55903 3.07421
H -3.25482 -2.17786 -4.20061
O 2.01682 1.48437 -3.41127
H 5.22513 2.22850 0.81846
C 0.77772 -8.02535 -0.58298
C 1.48605 -3.72162 1.64524
C 1.18697 2.87852 2.91452
C 1.16008 -6.58108 -3.14822
H -2.82317 4.82687 -2.57999
O -3.54393 2.66024 -1.58079
O 1.14680 -0.23473 0.39299
H 2.45759 1.97086 0.16565
C 1.02023 4.46625 -2.92074
H 1.67367 -0.85449 3.92636
H -2.25055 -0.72275 -4.29115
H 0.35016 6.33552 4.66897
H 2.08994 4.33391 -2.98364
As -2.27845 1.89741 -2.72503
H -4.29947 -0.44185 3.91863
H -1.65691 -2.25088 -4.98718
H -2.14790 2.95787 0.44314
H -2.46840 -6.61148 -2.35691
C -5.29546 -0.91724 2.08050
H 3.34569 1.10448 1.41432
O 5.64563 4.41514 -0.19412
H 3.26273 0.46283 -1.57510
As -0.20933 -7.70407 -2.27313
H -2.24371 -4.46071 -3.22457
O 0.51281 1.20378 -1.54596
O 3.80304 3.89145 -1.70707
H 2.00158 6.37402 5.31286
C 3.15268 4.54393 0.78007
H 1.66847 3.85158 -0.52224
H -2.32773 -3.39866 2.10525
H 3.41481 0.83252 4.46744
C -1.38354 -4.21142 -2.58804
S 0.67015 1.65812 -2.94034
H 1.16152 -2.37292 -2.30434
H 4.77516 5.31750 1.84377
H -2.02041 0.85140 3.64832
C -1.74837 4.75018 -2.68383
C 0.44445 5.72835 -2.86225
C 0.40415 0.55940 2.96459
H -2.76744 -3.51197 -0.37917
N -0.59838 -0.32629 2.69275
N 4.52485 2.24813 0.09523
C -0.93194 5.86756 -2.75502
C 3.34663 0.16329 -0.52386
C 1.55788 0.17885 3.62719
H -0.14876 4.47427 3.18307
C 0.70727 4.77651 1.24476
H 1.34562 -4.70399 2.10469
H 0.70773 -0.97018 -3.27721
C -0.60349 4.33284 0.69424
C -1.80230 0.03873 2.94102
H 0.59458 -2.59338 -3.98409
H -2.02491 -7.03101 -0.71856
H -3.67462 -4.74846 -1.27169
```

The net charge is -2. The expectation value of S² is 0.76. Its orbital gap (alpha / beta) is 3.221 / 3.255 eV. The HOMO energy (alpha / beta) comes out at -0.02215 / -0.02153 Eh. Its multiplicity is 2.

---

Entry 2:
ORCA calculation (wB97M-V/def2-TZVPD) on a molecular structure, C43H54N6PSeTi in a non-equilibrium geometry.

```
106
C43H54N6PSeTi, DFT wB97M-V/def2-TZVPD
H -3.30665 2.47120 1.83690
C -1.20668 -0.08560 3.76155
H 2.52543 -3.68051 1.60120
H -1.76904 2.78559 3.63834
C 0.64056 2.57110 -2.13748
C 3.66612 0.33269 1.78053
=====

Next, restate the data further up character by character.

Entry 1:
ORCA calculation (wB97M-V/def2-TZVPD) on a molecular structure, C43H54As4BrN3O11S2V in a non-equilibrium geometry.

```
119
C43H54As4BrN3O11S2V, DFT wB97M-V/def2-TZVPD
O -0.32002 1.06304 -3.82519
C -2.94606 -0.50051 2.25729
C 1.78275 5.24826 3.48907
C 2.52039 1.12270 3.92881
H -1.37184 6.85718 -2.72100
C 1.26451 5.75314 4.80527
H 3.64442 6.15620 3.75692
C -1.66662 -6.50782 -1.61542
C -1.18875 3.13469 0.93387
O -1.65269 -0.53927 0.28817
H 0.58563 -4.93802 -0.83393
C 0.85504 4.34287 2.74758
C -1.52346 -5.00508 -1.28374
H 1.07667 6.60418 -2.90526
N -0.80793 2.07050 1.65849
C -5.19629 -1.08925 0.70799
H 1.47268 -5.74629 -2.52867
C -0.36158 -4.81673 -0.30349
H 1.01363 4.91254 5.45541
O -2.03125 0.51783 -1.87000
H -4.19393 1.96387 -1.45349
H 1.49503 -8.83618 -0.72229
H 4.25954 -0.42869 -0.40438
H -2.98350 -5.13672 0.31668
H 0.70845 5.87898 1.25260
S 4.32494 3.84248 -0.37049
Br -7.00477 -1.05296 2.91309
C 1.86616 4.33409 0.42252
H 3.04020 3.19052 3.91975
C 3.37054 1.40333 0.36004
C 3.71004 5.15004 1.90757
C 2.12819 -0.74027 -0.22299
H 2.03012 -7.20679 -3.35576
As -0.14148 -3.05646 0.70846
H -0.95523 -2.94131 3.10696
H -1.13113 -4.62285 2.57466
C -2.80313 -0.71494 0.85421
C -1.27196 -3.58046 2.28481
H -0.43306 -5.60216 0.45719
H 0.08131 -8.32832 0.19868
C 0.18965 3.36461 -2.86898
C 0.23696 1.91253 2.47631
As -1.35818 -2.13642 -2.40953
H -3.85455 -1.07744 -0.97336
C -4.19974 -0.60972 2.85558
C 0.47080 -2.01096 -3.06514
C 2.30524 2.46009 3.61062
V -0.53113 0.19698 -0.58901
C -2.22593 -1.80710 -4.16542
O -3.18636 1.75906 -4.06366
H 0.78710 -6.20067 -4.09732
H 1.72208 -2.99861 2.42416
H -1.10890 5.01472 0.02413
C -1.17243 3.49014 -2.73017
H 2.32145 -3.75314 0.95171
H 1.31351 -7.14116 -0.25137
O 2.21341 -1.91803 -0.58023
C -3.95585 -0.99130 0.10274
H -0.48153 -4.51762 -3.12134
H -6.08179 -1.26514 0.11652
C -2.82874 -4.57798 -0.60534
C 3.04481 5.55903 3.07421
H -3.25482 -2.17786 -4.20061
O 2.01682 1.48437 -3.41127
H 5.22513 2.22850 0.81846
C 0.77772 -8.02535 -0.58298
C 1.48605 -3.72162 1.64524
C 1.18697 2.87852 2.91452
C 1.16008 -6.58108 -3.14822
H -2.82317 4.82687 -2.57999
O -3.54393 2.66024 -1.58079
O 1.14680 -0.23473 0.39299
H 2.45759 1.97086 0.16565
C 1.02023 4.46625 -2.92074
H 1.67367 -0.85449 3.92636
H -2.25055 -0.72275 -4.29115
H 0.35016 6.33552 4.66897
H 2.08994 4.33391 -2.98364
As -2.27845 1.89741 -2.72503
H -4.29947 -0.44185 3.91863
H -1.65691 -2.25088 -4.98718
H -2.14790 2.95787 0.44314
H -2.46840 -6.61148 -2.35691
C -5.29546 -0.91724 2.08050
H 3.34569 1.10448 1.41432
O 5.64563 4.41514 -0.19412
H 3.26273 0.46283 -1.57510
As -0.20933 -7.70407 -2.27313
H -2.24371 -4.46071 -3.22457
O 0.51281 1.20378 -1.54596
O 3.80304 3.89145 -1.70707
H 2.00158 6.37402 5.31286
C 3.15268 4.54393 0.78007
H 1.66847 3.85158 -0.52224
H -2.32773 -3.39866 2.10525
H 3.41481 0.83252 4.46744
C -1.38354 -4.21142 -2.58804
S 0.67015 1.65812 -2.94034
H 1.16152 -2.37292 -2.30434
H 4.77516 5.31750 1.84377
H -2.02041 0.85140 3.64832
C -1.74837 4.75018 -2.68383
C 0.44445 5.72835 -2.86225
C 0.40415 0.55940 2.96459
H -2.76744 -3.51197 -0.37917
N -0.59838 -0.32629 2.69275
N 4.52485 2.24813 0.09523
C -0.93194 5.86756 -2.75502
C 3.34663 0.16329 -0.52386
C 1.55788 0.17885 3.62719
H -0.14876 4.47427 3.18307
C 0.70727 4.77651 1.24476
H 1.34562 -4.70399 2.10469
H 0.70773 -0.97018 -3.27721
C -0.60349 4.33284 0.69424
C -1.80230 0.03873 2.94102
H 0.59458 -2.59338 -3.98409
H -2.02491 -7.03101 -0.71856
H -3.67462 -4.74846 -1.27169
```

The net charge is -2. The expectation value of S² is 0.76. Its orbital gap (alpha / beta) is 3.221 / 3.255 eV. The HOMO energy (alpha / beta) comes out at -0.02215 / -0.02153 Eh. Its multiplicity is 2.

---

Entry 2:
ORCA calculation (wB97M-V/def2-TZVPD) on a molecular structure, C43H54N6PSeTi in a non-equilibrium geometry.

```
106
C43H54N6PSeTi, DFT wB97M-V/def2-TZVPD
H -3.30665 2.47120 1.83690
C -1.20668 -0.08560 3.76155
H 2.52543 -3.68051 1.60120
H -1.76904 2.78559 3.63834
C 0.64056 2.57110 -2.13748
C 3.66612 0.33269 1.78053